Now echo the contents below from the first line to the one with "-2.209," with every line break kept.

=====
{
  "formula": "EuS",
  "functional": "PBE-GGA",
  "state": "optimized geometry",
  "lattice_angstrom": [[5.845, 0.000, 0.000], [0.000, 5.845, 0.000], [0.000, 0.000, 5.845]],
  "species": ["Eu", "Eu", "Eu", "Eu", "S", "S", "S", "S"],
  "frac_coords": [[0.000, 0.000, 0.000], [0.000, 0.500, 0.500], [0.500, 0.000, 0.500], [0.500, 0.500, 0.000], [0.000, 0.000, 0.500], [0.000, 0.500, 0.000], [0.500, 0.000, 0.000], [0.500, 0.500, 0.500]],
  "e_above_lowest_polymorph_mev_per_atom": 0.0,
  "formation_energy_ev_per_atom": -2.407,
  "spacegroup": "Fm-3m, No. 225"
}

***

{
  "formula": "Eu2SeS",
  "functional": "PBE-GGA",
  "state": "optimized geometry",
  "lattice_angstrom": [[4.237, 0.000, 0.000], [-2.119, 3.669, 0.000], [0.000, 0.000, 20.781]],
  "species": ["Eu", "Eu", "Eu", "Eu", "Eu", "Eu", "Se", "Se", "Se", "S", "S", "S"],
  "frac_coords": [[0.000, 0.000, 0.247], [0.000, 0.000, 0.753], [0.333, 0.667, 0.420], [0.333, 0.667, 0.913], [0.667, 0.333, 0.087], [0.667, 0.333, 0.580], [0.000, 0.000, 0.000], [0.333, 0.667, 0.667], [0.667, 0.333, 0.333], [0.000, 0.000, 0.500], [0.333, 0.667, 0.167], [0.667, 0.333, 0.833]],
  "formation_energy_ev_per_atom": -2.219,
  "spacegroup": "R-3m, No. 166"
}

***

{
  "formula": "SrEuSeS",
  "functional": "PBE-GGA",
  "state": "optimized geometry",
  "lattice_angstrom": [[4.326, 0.000, 0.000], [-2.163, 3.746, 0.000], [0.000, 0.000, 21.261]],
  "species": ["Sr", "Sr", "Sr", "Eu", "Eu", "Eu", "Se", "Se", "Se", "S", "S", "S"],
  "frac_coords": [[0.000, 0.000, 0.000], [0.333, 0.667, 0.667], [0.667, 0.333, 0.333], [0.000, 0.000, 0.507], [0.333, 0.667, 0.173], [0.667, 0.333, 0.840], [0.000, 0.000, 0.755], [0.333, 0.667, 0.422], [0.667, 0.333, 0.088], [0.000, 0.000, 0.251], [0.333, 0.667, 0.918], [0.667, 0.333, 0.584]],
  "formation_energy_ev_per_atom": -2.209,
  "spacegroup": "R3m, No. 160"
}

***

{
  "formula": "Sm3Eu3S8",
  "functional": "PBE-GGA",
  "state": "optimized geometry",
  "lattice_angstrom": [[6.041, -4.292, 0.000], [6.041, 4.292, 0.000], [-6.036, 0.000, 6.087]],
  "species": ["Sm", "Sm", "Sm", "Eu", "Eu", "Eu", "S", "S", "S", "S", "S", "S", "S", "S"],
  "frac_coords": [[0.000, 0.000, 0.000], [0.498, 0.253, 0.125], [0.747, 0.502, 0.875], [0.125, 0.376, 0.625], [0.247, 0.753, 0.500], [0.624, 0.875, 0.375], [0.020, 0.134, 0.762], [0.219, 0.626, 0.099], [0.374, 0.781, 0.901], [0.376, 0.270, 0.391], [0.530, 0.132, 0.761], [0.730, 0.624, 0.609], [0.866, 0.980, 0.238], [0.868, 0.470, 0.239]],
  "formation_energy_ev_per_atom": -2.349,
  "spacegroup": "C2, No. 5"
}

***

{
  "formula": "Sm2EuS4",
  "functional": "PBE-GGA",
  "state": "optimized geometry",
  "lattice_angstrom": [[-4.282, 4.282, 4.285], [4.282, -4.282, 4.285], [4.282, 4.282, -4.285]],
  "species": ["Sm", "Sm", "Sm", "Sm", "Eu", "Eu", "S", "S", "S", "S", "S", "S", "S", "S"],
  "frac_coords": [[0.002, 0.625, 0.877], [0.375, 0.252, 0.377], [0.748, 0.125, 0.123], [0.875, 0.998, 0.623], [0.250, 0.750, 0.500], [0.500, 0.500, 0.000], [0.117, 0.368, 0.599], [0.118, 0.367, 0.099], [0.268, 0.019, 0.901], [0.482, 0.883, 0.251], [0.632, 0.231, 0.749], [0.633, 0.732, 0.751], [0.769, 0.518, 0.401], [0.981, 0.882, 0.249]],
  "formation_energy_ev_per_atom": -2.381,
  "spacegroup": "I-42d, No. 122"
}

***

{
  "formula": "Eu3Sn2S7",
  "functional": "PBE-GGA",
  "state": "optimized geometry",
  "lattice_angstrom": [[11.401, 0.000, 0.000], [0.000, 12.661, 0.000], [0.000, 0.000, 3.996]],
  "species": ["Eu", "Eu", "Eu", "Eu", "Eu", "Eu", "Sn", "Sn", "Sn", "Sn", "S", "S", "S", "S", "S", "S", "S", "S", "S", "S", "S", "S", "S", "S"],
=====

{
  "formula": "EuS",
  "functional": "PBE-GGA",
  "state": "optimized geometry",
  "lattice_angstrom": [[5.845, 0.000, 0.000], [0.000, 5.845, 0.000], [0.000, 0.000, 5.845]],
  "species": ["Eu", "Eu", "Eu", "Eu", "S", "S", "S", "S"],
  "frac_coords": [[0.000, 0.000, 0.000], [0.000, 0.500, 0.500], [0.500, 0.000, 0.500], [0.500, 0.500, 0.000], [0.000, 0.000, 0.500], [0.000, 0.500, 0.000], [0.500, 0.000, 0.000], [0.500, 0.500, 0.500]],
  "e_above_lowest_polymorph_mev_per_atom": 0.0,
  "formation_energy_ev_per_atom": -2.407,
  "spacegroup": "Fm-3m, No. 225"
}

***

{
  "formula": "Eu2SeS",
  "functional": "PBE-GGA",
  "state": "optimized geometry",
  "lattice_angstrom": [[4.237, 0.000, 0.000], [-2.119, 3.669, 0.000], [0.000, 0.000, 20.781]],
  "species": ["Eu", "Eu", "Eu", "Eu", "Eu", "Eu", "Se", "Se", "Se", "S", "S", "S"],
  "frac_coords": [[0.000, 0.000, 0.247], [0.000, 0.000, 0.753], [0.333, 0.667, 0.420], [0.333, 0.667, 0.913], [0.667, 0.333, 0.087], [0.667, 0.333, 0.580], [0.000, 0.000, 0.000], [0.333, 0.667, 0.667], [0.667, 0.333, 0.333], [0.000, 0.000, 0.500], [0.333, 0.667, 0.167], [0.667, 0.333, 0.833]],
  "formation_energy_ev_per_atom": -2.219,
  "spacegroup": "R-3m, No. 166"
}

***

{
  "formula": "SrEuSeS",
  "functional": "PBE-GGA",
  "state": "optimized geometry",
  "lattice_angstrom": [[4.326, 0.000, 0.000], [-2.163, 3.746, 0.000], [0.000, 0.000, 21.261]],
  "species": ["Sr", "Sr", "Sr", "Eu", "Eu", "Eu", "Se", "Se", "Se", "S", "S", "S"],
  "frac_coords": [[0.000, 0.000, 0.000], [0.333, 0.667, 0.667], [0.667, 0.333, 0.333], [0.000, 0.000, 0.507], [0.333, 0.667, 0.173], [0.667, 0.333, 0.840], [0.000, 0.000, 0.755], [0.333, 0.667, 0.422], [0.667, 0.333, 0.088], [0.000, 0.000, 0.251], [0.333, 0.667, 0.918], [0.667, 0.333, 0.584]],
  "formation_energy_ev_per_atom": -2.209,